Input =
Entry 1:
This record from the OMol25 dataset describes 7 unconnected molecules or ions with the total composition C36H39BF3N6O2 at a distorted geometry. The level of theory is ωB97M-V with the def2-TZVPD basis set.

The highest occupied orbital energy comes out at -5.10 eV. As for the largest force on an atom: 0.124 hartree/bohr. The total energy is -59827.9865 eV. As for the frontier orbital gap: 7.02 eV. Its charge is -1.

Each line ends with the Mulliken charge.
Geometry (Å):
C1 -4.4043 -1.8505 -0.6051  -0.15
C2 -5.3158 -0.8964 -0.7529  0.07
C3 -6.1028 0.3659 -1.3936  -0.71
B1 -5.6795 1.8219 -0.7532  0.60
O1 -6.4807 2.0276 0.5064  -0.81
O2 -6.1339 2.8639 -1.7014  -0.79
C4 -4.0959 1.9683 -0.3340  -0.41
C5 -3.0412 1.4958 -1.4580  -0.24
C6 -1.6538 0.9016 -0.8242  0.92
F1 -1.8587 0.1513 0.3818  -0.31
F2 -0.7767 2.0337 -0.5529  -0.31
F3 -1.0008 0.0017 -1.7571  -0.29
H1 -3.5178 -2.5676 -0.3972  0.14
H2 -7.2235 0.2004 -1.1097  0.25
H3 -6.0777 0.3813 -2.5477  0.20
H4 -6.6049 1.1285 0.9157  0.26
H5 -5.9318 3.7484 -1.3206  0.21
H6 -3.9642 1.4759 0.6952  0.04
H7 -3.9076 3.1112 -0.1706  0.15
H8 -2.7381 2.3628 -2.1738  -0.14
H9 -3.4418 0.6314 -2.1314  0.27
N1 1.3380 1.7670 4.4737  -0.63
C7 0.7867 1.1454 3.4158  -0.72
C8 -0.3392 1.6050 2.7514  0.14
C9 -0.9374 2.7723 3.2042  -0.14
C10 -0.3909 3.4342 4.2957  -0.65
C11 0.7394 2.8961 4.8899  -0.49
H10 1.2883 0.2355 3.1016  0.51
H11 -0.7387 1.0646 1.9025  0.35
H12 -1.8213 3.1631 2.7108  0.49
H13 -0.8330 4.3476 4.6754  0.50
H14 1.2057 3.3786 5.7435  0.63
N2 0.2030 1.6571 9.2181  -0.55
C12 -0.5990 2.0465 10.2243  -0.26
C13 -1.7736 2.7587 10.0428  -0.29
C14 -2.1444 3.0945 8.7480  -0.52
C15 -1.3343 2.7072 7.6894  -0.11
C16 -0.1807 1.9941 7.9741  -0.26
H15 -0.2650 1.7633 11.2176  0.36
H16 -2.3830 3.0441 10.8917  0.36
H17 -3.0567 3.6528 8.5653  0.37
H18 -1.5935 2.9529 6.6672  0.39
H19 0.4833 1.6655 7.1810  0.52
N3 -1.4965 -3.6311 -1.1252  -0.21
C17 -1.2663 -4.8911 -0.7154  -0.23
C18 -0.0009 -5.4413 -0.5872  -0.66
C19 1.0939 -4.6490 -0.9031  0.11
C20 0.8866 -3.3450 -1.3308  -0.62
C21 -0.4172 -2.8851 -1.4232  -0.39
H20 -2.1542 -5.4711 -0.4835  0.36
H21 0.1257 -6.4628 -0.2494  0.36
H22 2.1005 -5.0443 -0.8166  0.30
H23 1.7191 -2.7006 -1.5857  0.42
H24 -0.6302 -1.8725 -1.7490  0.60
N4 3.7524 -2.8947 0.6494  -0.40
C22 3.8227 -1.6033 1.0171  -0.28
C23 4.9469 -0.8118 0.8438  -0.44
C24 6.0687 -1.3837 0.2604  -0.20
C25 6.0252 -2.7158 -0.1274  -0.68
C26 4.8525 -3.4223 0.0855  -0.08
H25 2.9219 -1.2027 1.4712  0.49
H26 4.9458 0.2251 1.1571  0.41
H27 6.9686 -0.7969 0.1089  0.39
H28 6.8829 -3.1937 -0.5853  0.44
H29 4.7683 -4.4656 -0.2042  0.38
N5 6.2351 -4.0897 -4.8955  -0.57
C27 5.9095 -3.6829 -3.6562  -0.14
C28 5.1801 -2.5360 -3.3876  0.25
C29 4.7630 -1.7575 -4.4584  -0.60
C30 5.0865 -2.1524 -5.7492  -0.28
C31 5.8171 -3.3182 -5.9137  -0.31
H30 6.2608 -4.3228 -2.8526  0.36
H31 4.9442 -2.2580 -2.3684  0.15
H32 4.1908 -0.8514 -4.2886  0.42
H33 4.7775 -1.5683 -6.6074  0.38
H34 6.0915 -3.6706 -6.9032  0.34
N6 -1.1018 3.0364 -7.2658  -0.59
C32 -1.0326 1.6939 -7.2392  -0.19
C33 -1.0891 0.9417 -6.0769  -0.65
C34 -1.2208 1.6107 -4.8679  0.25
C35 -1.2927 2.9968 -4.8649  -0.40
C36 -1.2309 3.6582 -6.0808  -0.30
H35 -0.9268 1.2173 -8.2088  0.35
H36 -1.0312 -0.1393 -6.1152  0.37
H37 -1.2672 1.0567 -3.9363  0.39
H38 -1.3950 3.5501 -3.9393  0.41
H39 -1.2866 4.7413 -6.1311  0.34

***

Entry 2:
This record from the OMol25 dataset describes a molecular structure, C36H39BrCoN4O4S3Si. The level of theory is ωB97M-V with the def2-TZVPD basis set.

The highest occupied orbital energy comes out at -4.92 eV. As for the largest force on an atom: 0.013 hartree/bohr. The total energy is -200178.7438 eV. The energy above the lowest of the compared OMol25 structures with the same formula, charge and spin comes out at 0.000 eV. As for the frontier orbital gap: 6.13 eV. Its charge is -1.

Each line ends with the Mulliken charge.
Geometry (Å):
Co1 -0.1161 2.0291 0.0935  -0.11
Br1 4.5423 2.4443 5.7872  -0.25
C1 3.1082 2.3802 4.5397  -0.21
Assignment =
The reader should transcribe all of the material above with every line break kept.
Written answer =
Entry 1:
This record from the OMol25 dataset describes 7 unconnected molecules or ions with the total composition C36H39BF3N6O2 at a distorted geometry. The level of theory is ωB97M-V with the def2-TZVPD basis set.

The highest occupied orbital energy comes out at -5.10 eV. As for the largest force on an atom: 0.124 hartree/bohr. The total energy is -59827.9865 eV. As for the frontier orbital gap: 7.02 eV. Its charge is -1.

Each line ends with the Mulliken charge.
Geometry (Å):
C1 -4.4043 -1.8505 -0.6051  -0.15
C2 -5.3158 -0.8964 -0.7529  0.07
C3 -6.1028 0.3659 -1.3936  -0.71
B1 -5.6795 1.8219 -0.7532  0.60
O1 -6.4807 2.0276 0.5064  -0.81
O2 -6.1339 2.8639 -1.7014  -0.79
C4 -4.0959 1.9683 -0.3340  -0.41
C5 -3.0412 1.4958 -1.4580  -0.24
C6 -1.6538 0.9016 -0.8242  0.92
F1 -1.8587 0.1513 0.3818  -0.31
F2 -0.7767 2.0337 -0.5529  -0.31
F3 -1.0008 0.0017 -1.7571  -0.29
H1 -3.5178 -2.5676 -0.3972  0.14
H2 -7.2235 0.2004 -1.1097  0.25
H3 -6.0777 0.3813 -2.5477  0.20
H4 -6.6049 1.1285 0.9157  0.26
H5 -5.9318 3.7484 -1.3206  0.21
H6 -3.9642 1.4759 0.6952  0.04
H7 -3.9076 3.1112 -0.1706  0.15
H8 -2.7381 2.3628 -2.1738  -0.14
H9 -3.4418 0.6314 -2.1314  0.27
N1 1.3380 1.7670 4.4737  -0.63
C7 0.7867 1.1454 3.4158  -0.72
C8 -0.3392 1.6050 2.7514  0.14
C9 -0.9374 2.7723 3.2042  -0.14
C10 -0.3909 3.4342 4.2957  -0.65
C11 0.7394 2.8961 4.8899  -0.49
H10 1.2883 0.2355 3.1016  0.51
H11 -0.7387 1.0646 1.9025  0.35
H12 -1.8213 3.1631 2.7108  0.49
H13 -0.8330 4.3476 4.6754  0.50
H14 1.2057 3.3786 5.7435  0.63
N2 0.2030 1.6571 9.2181  -0.55
C12 -0.5990 2.0465 10.2243  -0.26
C13 -1.7736 2.7587 10.0428  -0.29
C14 -2.1444 3.0945 8.7480  -0.52
C15 -1.3343 2.7072 7.6894  -0.11
C16 -0.1807 1.9941 7.9741  -0.26
H15 -0.2650 1.7633 11.2176  0.36
H16 -2.3830 3.0441 10.8917  0.36
H17 -3.0567 3.6528 8.5653  0.37
H18 -1.5935 2.9529 6.6672  0.39
H19 0.4833 1.6655 7.1810  0.52
N3 -1.4965 -3.6311 -1.1252  -0.21
C17 -1.2663 -4.8911 -0.7154  -0.23
C18 -0.0009 -5.4413 -0.5872  -0.66
C19 1.0939 -4.6490 -0.9031  0.11
C20 0.8866 -3.3450 -1.3308  -0.62
C21 -0.4172 -2.8851 -1.4232  -0.39
H20 -2.1542 -5.4711 -0.4835  0.36
H21 0.1257 -6.4628 -0.2494  0.36
H22 2.1005 -5.0443 -0.8166  0.30
H23 1.7191 -2.7006 -1.5857  0.42
H24 -0.6302 -1.8725 -1.7490  0.60
N4 3.7524 -2.8947 0.6494  -0.40
C22 3.8227 -1.6033 1.0171  -0.28
C23 4.9469 -0.8118 0.8438  -0.44
C24 6.0687 -1.3837 0.2604  -0.20
C25 6.0252 -2.7158 -0.1274  -0.68
C26 4.8525 -3.4223 0.0855  -0.08
H25 2.9219 -1.2027 1.4712  0.49
H26 4.9458 0.2251 1.1571  0.41
H27 6.9686 -0.7969 0.1089  0.39
H28 6.8829 -3.1937 -0.5853  0.44
H29 4.7683 -4.4656 -0.2042  0.38
N5 6.2351 -4.0897 -4.8955  -0.57
C27 5.9095 -3.6829 -3.6562  -0.14
C28 5.1801 -2.5360 -3.3876  0.25
C29 4.7630 -1.7575 -4.4584  -0.60
C30 5.0865 -2.1524 -5.7492  -0.28
C31 5.8171 -3.3182 -5.9137  -0.31
H30 6.2608 -4.3228 -2.8526  0.36
H31 4.9442 -2.2580 -2.3684  0.15
H32 4.1908 -0.8514 -4.2886  0.42
H33 4.7775 -1.5683 -6.6074  0.38
H34 6.0915 -3.6706 -6.9032  0.34
N6 -1.1018 3.0364 -7.2658  -0.59
C32 -1.0326 1.6939 -7.2392  -0.19
C33 -1.0891 0.9417 -6.0769  -0.65
C34 -1.2208 1.6107 -4.8679  0.25
C35 -1.2927 2.9968 -4.8649  -0.40
C36 -1.2309 3.6582 -6.0808  -0.30
H35 -0.9268 1.2173 -8.2088  0.35
H36 -1.0312 -0.1393 -6.1152  0.37
H37 -1.2672 1.0567 -3.9363  0.39
H38 -1.3950 3.5501 -3.9393  0.41
H39 -1.2866 4.7413 -6.1311  0.34

***

Entry 2:
This record from the OMol25 dataset describes a molecular structure, C36H39BrCoN4O4S3Si. The level of theory is ωB97M-V with the def2-TZVPD basis set.

The highest occupied orbital energy comes out at -4.92 eV. As for the largest force on an atom: 0.013 hartree/bohr. The total energy is -200178.7438 eV. The energy above the lowest of the compared OMol25 structures with the same formula, charge and spin comes out at 0.000 eV. As for the frontier orbital gap: 6.13 eV. Its charge is -1.

Each line ends with the Mulliken charge.
Geometry (Å):
Co1 -0.1161 2.0291 0.0935  -0.11
Br1 4.5423 2.4443 5.7872  -0.25
C1 3.1082 2.3802 4.5397  -0.21